This research cluster focuses on citizenship, including the boundaries of citizenship: who is entitled to be a member? And what kinds of admissions policies and policies designed to facilitate integration is the state entitled to pursue? This research cluster is home to the Multiculturalism Index, initiated by Professors Banting and Kymlicka, which is designed to provide information about multiculturalism policies in a standardized format that aids comparative research and contributes to the understanding of state-minority relations.

Another important aspect of this theme is how boundaries, legal status, and social status intersect to control access to the rights and other benefits associated with constitutional democracy. Our research addresses this in many contexts, but one clear example is migration, and especially the rights and obligations (of sending states, destination states, migrants and existing citizens) in a world where emigration is an increasing fact of life.

Current Projects

The Multiculturalism Policy (MCP) Index

Co-directors: Keith Banting and Will Kymlicka

The Multiculturalism Policy Index is a scholarly research project that monitors the evolution of multiculturalism policies across Western democracies.

Shared Membership Beyond National Identity

Deservingness and Solidarity in Diverse Societies

Principal Investigators: Keith Banting and Will Kymlicka
Co-Investigators:  (UQAM), and  (StFX)

Learn more about the Shared Membership project

Intergroup Relations and the Foundations of Solidarity in Diverse Societies

Principal Investigator:  (UQAM)
Co-Investigators: Keith Banting and Will Kymlicka

Insight Grant from the SSHRC (2014)

Learn more about this project

The Politics of Complex Diversity in Contested Cities

Principal Investigator: 窜蝉耻锄蝉补&苍产蝉辫;颁蝉别谤驳艖
Co-Applicants: Keith Banting and John McGarry
Project Manager: Sam Twietmeyer
Funding: Social Science and Humanities Research Council Insight Grant (5 years)

Cross-listed with the Nationalism, Ethnic Conflict, Minority Mobilization, and Conflict Resolution Cluster

View the Website: 

Misplaced data records =
********
# 1
First-principles (r²SCAN) data for a relaxed HoZn3P3 crystal, as listed in the Materials Project database.

CIF file:
```
data_HoZn3P3
_cell_length_a 3.9629
_cell_length_b 3.9629
_cell_length_c 19.7469
_cell_angle_alpha 90.00
_cell_angle_beta 90.00
_cell_angle_gamma 120.00
_symmetry_space_group_name_H-M 'P 63/m m c'
_symmetry_Int_Tables_number 194
_symmetry_space_group_name_Hall '-P 6c 2c'
loop_
_atom_site_label
_atom_site_type_symbol
_atom_site_fract_x
_atom_site_fract_y
_atom_site_fract_z
Ho1 Ho 0.0000 0.0000 0.0000
Zn1 Zn 0.3333 0.6667 0.1285
Zn2 Zn 0.3333 0.6667 0.7500
P1 P 0.3333 0.6667 0.2500
P2 P 0.3333 0.6667 0.5839
```

=====

# 2
First-principles (r²SCAN) data for a relaxed HoPaTc2 crystal, as listed in the Materials Project database.

CIF file:
```
data_HoPaTc2
_cell_length_a 6.810
_cell_length_b 6.810
_cell_length_c 6.810
_cell_angle_alpha 90.00
_cell_angle_beta 90.00
_cell_angle_gamma 90.00
_symmetry_space_group_name_H-M 'F m -3 m'
_symmetry_Int_Tables_number 225
_symmetry_space_group_name_Hall '-F 4 2 3'
loop_
_atom_site_label
_atom_site_type_symbol
_atom_site_fract_x
_atom_site_fract_y
_atom_site_fract_z
Ho1 Ho 0.000 0.000 0.000
Pa1 Pa 0.000 0.000 0.500
Tc1 Tc 0.250 0.250 0.250
```

=====

Calculated formation energy, respectively: -0.728, -0.194 eV per atom.

~~~~~

No. 1
The following is a DFT calculation (meta-GGA r2SCAN) of an optimized crystal structure of Cr2S3O12.

Output
**Spin magnetization**: 0.00 μB per atom
**SG**: R-3
**V**: 12.33 Å³ per atom
**Raw total energy**: -9.15 eV/atom
**Energy of formation**: -1.742 eV/atom

abc: 8.7036 8.7036 8.7036
angles: 55.66 55.66 55.66
Sites, in units of the cell vectors:
Cr  0.1438  0.1438  0.1438
Cr  0.3488  0.3488  0.3488
Cr  0.6512  0.6512  0.6512
Cr  0.8562  0.8562  0.8562
S  0.0377  0.7515  0.4588
S  0.2485  0.5412  0.9623
S  0.4588  0.0377  0.7515
S  0.5412  0.9623  0.2485
S  0.7515  0.4588  0.0377
S  0.9623  0.2485  0.5412
O  0.0128  0.7993  0.6099
O  0.1178  0.7406  0.8750
O  0.1250  0.8822  0.2594
O  0.1572  0.2134  0.5249
O  0.1715  0.5431  0.4867
O  0.2007  0.3901  0.9872
O  0.2134  0.5249  0.1572
O  0.2594  0.1250  0.8822
O  0.3901  0.9872  0.2007
O  0.4569  0.5133  0.8285
O  0.4751  0.8428  0.7866
O  0.4867  0.1715  0.5431
O  0.5133  0.8285  0.4569
O  0.5249  0.1572  0.2134
O  0.5431  0.4867  0.1715
O  0.6099  0.0128  0.7993
O  0.7406  0.8750  0.1178
O  0.7866  0.4751  0.8428
O  0.7993  0.6099  0.0128
O  0.8285  0.4569  0.5133
O  0.8428  0.7866  0.4751
O  0.8750  0.1178  0.7406
O  0.8822  0.2594  0.1250
O  0.9872  0.2007  0.3901



No. 2
The following is a DFT calculation (meta-GGA r2SCAN) of an optimized crystal structure of CrS2O8.

Output
**Spin magnetization**: 0.18 μB per atom
**SG**: Pbca
**V**: 11.44 Å³ per atom
**Raw total energy**: -8.68 eV/atom
**Energy of formation**: -1.506 eV/atom

abc: 8.7899 12.7163 9.0095
angles: 90.00 90.00 90.00
Sites, in units of the cell vectors:
Cr  0.1075  0.1255  0.1418
Cr  0.1075  0.3745  0.6418
Cr  0.3925  0.6255  0.1418
********
Back to the article =

Read more about the Cities project

Past Projects

Principal Investigator: Keith Banting

**Next to the entry, the page also holds data records:**
- - -
The following is a DFT calculation (meta-GGA r2SCAN) of Tb2Ti2O7 after structural relaxation.

Values from the calculation:
* symmetry: No. 227
* volume: 11.8 Å³/atom
* DFT total energy: -340.87 eV/cell
* energy relative to the elements: -3664 meV/atom

a = 7.1584 Å, b = 7.1584 Å, c = 7.1584 Å
α = 60.00°, β = 60.00°, γ = 60.00°
Element x y z (fractional)
Tb  0.0000  0.0000  0.0000
Tb  0.0000  0.0000  0.5000
Tb  0.0000  0.5000  0.0000
Tb  0.5000  0.0000  0.0000
Ti  0.0000  0.5000  0.5000
Ti  0.5000  0.0000  0.5000
Ti  0.5000  0.5000  0.0000
Ti  0.5000  0.5000  0.5000
O  0.1250  0.1250  0.1250
O  0.1705  0.1705  0.5795
O  0.1705  0.5795  0.1705
O  0.1705  0.5795  0.5795
O  0.4205  0.4205  0.8295
O  0.4205  0.8295  0.4205
O  0.4205  0.8295  0.8295
O  0.5795  0.1705  0.1705
O  0.5795  0.1705  0.5795
O  0.5795  0.5795  0.1705
O  0.8295  0.4205  0.4205
O  0.8295  0.4205  0.8295
O  0.8295  0.8295  0.4205
O  0.8750  0.8750  0.8750

=====

The following is a DFT calculation (meta-GGA r2SCAN) of Re3As7 after structural relaxation.

Values from the calculation:
* symmetry: No. 229
* volume: 17.0 Å³/atom
* DFT total energy: -522.07 eV/cell
* energy relative to the elements: -85 meV/atom

a = 7.6212 Å, b = 7.6212 Å, c = 7.6212 Å
α = 109.47°, β = 109.47°, γ = 109.47°
Element x y z (fractional)
Re  0.0000  0.3403  0.3403
Re  0.0000  0.6597  0.6597
Re  0.3403  0.0000  0.3403
Re  0.3403  0.3403  0.0000
Re  0.6597  0.0000  0.6597
Re  0.6597  0.6597  0.0000
As  0.0000  0.0000  0.3319
As  0.0000  0.0000  0.6681
As  0.0000  0.3319  0.0000
As  0.0000  0.6681  0.0000
As  0.2500  0.5000  0.7500
As  0.2500  0.7500  0.5000
As  0.3319  0.0000  0.0000
As  0.3319  0.3319  0.3319
As  0.5000  0.2500  0.7500
As  0.5000  0.7500  0.2500
As  0.6681  0.0000  0.0000
As  0.6681  0.6681  0.6681
As  0.7500  0.2500  0.5000
As  0.7500  0.5000  0.2500

=====

The following is a DFT calculation (meta-GGA r2SCAN) of InPd2 after structural relaxation.

Values from the calculation:
* symmetry: No. 62
* volume: 16.6 Å³/atom
* DFT total energy: -280.62 eV/cell
* energy relative to the elements: -552 meV/atom

a = 5.6864 Å, b = 4.2206 Å, c = 8.3061 Å
α = 90.00°, β = 90.00°, γ = 90.00°
Element x y z (fractional)
In  0.1754  0.2500  0.0995
In  0.3246  0.7500  0.5995
In  0.6754  0.2500  0.4005
In  0.8246  0.7500  0.9005
Pd  0.0715  0.2500  0.7690
Pd  0.1553  0.2500  0.4273
Pd  0.3447  0.7500  0.9273
Pd  0.4285  0.7500  0.2690
Pd  0.5715  0.2500  0.7310
Pd  0.6553  0.2500  0.0727
Pd  0.8447  0.7500  0.5727
Pd  0.9285  0.7500  0.2310
- - -
**Back to the entry:**


Funded for one year from the Syrian Refugee Program SSHRC research grant, this project explores the strength and depth of civil society organizations in Toronto, Ontario that have been working to assist the Syrian refugee sponsorship and integration process.

The Immigration, Minorities and Multiculturalism in Democracies Conference was held in Montreal, Canada from October 25-27, 2007. The conference brought together researchers on migration and multiculturalism from across Canada and internationally to present a series of papers addressing concerns ranging from movement and flow of peoples to national and ethnic identity to institutional accommodation and political representation in existing democracies.

You can see the Working Papers Series produced by the conference here: Immigration, Minorities and Multiculturalism in Democracies Conference